5 fire engine pump operator mistakes

To become a motor pump operator (MPO) (fire engine pump operator) nobody is busier than the MPO in the first 10 minutes of any fire. There is a lot of knowledge, skill, and hustle that must be employed to establish a water supply, supply the attack lines or appliances and carry out support tasks identified by the MPO’s own observations such as scene lighting, and pulling additional hand lines or raising ground ladders.
_Unrelated to this article: records of crystals_
(1)
Starting from a crystal structure in Alexandria, relaxed with PBE, the X-ray diffraction stick pattern of MgRe2O8 was simulated for a wavelength of 1.5418 Å.
Kinematic intensities with the Lorentz-polarization factor, no thermal factor.

Most intense lines, 10 to 90 degrees two-theta, by angle:
hkl	Position (°2θ)	d [Å]	Rel. int.
1 1 0	17.16	5.167	25
2 -1 1	23.70	3.754	100
3 0 0	29.95	2.983	38
0 0 2	32.78	2.732	9
1 1 2	37.23	2.415	10
2 2 1	38.54	2.336	16
3 0 2	44.99	2.015	18
5 -1 1	49.57	1.839	26
2 -1 3	53.33	1.718	11
5 2 1	67.58	1.386	10

Crystal structure
Unit cell a=10.3344 b=10.3344 c=5.4644 alpha=90.00 beta=90.00 gamma=120.00
Space group P31m (No. 157)
One atom of each set of equivalent atoms:
1 Mg 0.0000 0.0000 0.0000
2 Mg 0.3333 0.6667 0.5066
3 Re 0.0000 0.3422 0.1665
4 Re 0.0000 0.6770 0.6387
5 O 0.0000 0.1737 0.2159
6 O 0.0000 0.3646 0.8537
7 O 0.0000 0.6921 0.3248
8 O 0.0000 0.8305 0.7798
9 O 0.1610 0.4947 0.2934
10 O 0.1628 0.6715 0.7173



(2)
Starting from a crystal structure in Alexandria, relaxed with PBE, the X-ray diffraction stick pattern of MgRuO3 was simulated for a wavelength of 1.5418 Å.
Kinematic intensities with the Lorentz-polarization factor, no thermal factor.

Most intense lines, 10 to 90 degrees two-theta, by angle:
hkl	Position (°2θ)	d [Å]	Rel. int.
1 0 -1	18.97	4.678	100
1 0 1	33.17	2.701	26
1 1 0	37.89	2.375	19
2 0 0	38.49	2.339	7
1 1 1	47.11	1.929	32
2 1 0	51.23	1.783	19
3 0 -2	51.70	1.768	12
2 1 -3	62.40	1.488	10
3 1 0	69.23	1.357	9
2 0 2	69.63	1.350	6

Crystal structure
Unit cell a=5.399 b=2.756 c=5.400 alpha=90.00 beta=119.95 gamma=90.00
Space group Pm (No. 6)
One atom of each set of equivalent atoms:
1 Mg 0.000 0.000 0.000
2 Ru 0.667 0.000 0.334
3 O 0.343 0.500 0.172
4 O 0.828 0.500 0.171
5 O 0.829 0.500 0.657



(3)
Starting from a crystal structure in Alexandria, relaxed with PBE, the X-ray diffraction stick pattern of MgSnRuO6 was simulated for a wavelength of 1.5418 Å.
Kinematic intensities with the Lorentz-polarization factor, no thermal factor.

Most intense lines, 10 to 90 degrees two-theta, by angle:
hkl	Position (°2θ)	d [Å]	Rel. int.
1 0 0	19.56	4.538	53
0 0 2	19.82	4.479	85
1 0 2	27.99	3.188	100
1 1 0	34.22	2.620	62
1 1 2	39.86	2.262	91
2 0 2	44.77	2.024	27
1 1 4	53.85	1.702	71
2 1 2	57.53	1.602	26
3 0 0	61.27	1.513	30
3 0 2	65.08	1.433	20

Crystal structure
Unit cell a=5.2405 b=5.2405 c=8.9578 alpha=90.00 beta=90.00 gamma=120.00
Space group P-31c (No. 163)
One atom of each set of equivalent atoms:
1 Mg 0.0000 0.0000 0.0000
2 Sn 0.3333 0.6667 0.2500
3 Ru 0.3333 0.6667 0.7500
4 O 0.0205 0.3590 0.6299



(4)
Starting from a crystal structure in Alexandria, relaxed with PBE, the X-ray diffraction stick pattern of Sr4Tb2MgRu2O12 was simulated for a wavelength of 1.5418 Å.
Kinematic intensities with the Lorentz-polarization factor, no thermal factor.

Most intense lines, 10 to 90 degrees two-theta, by angle:
hkl	Position (°2θ)	d [Å]	Rel. int.
1 1 0	20.73	4.286	15
1 1 2	28.91	3.089	30
1. Not quick-witted the apparatus
Today’s pumping apparatus is many more than a pump mounted on a truck. They’re a wonderful piece of mechanical, electrical, and pc engineering. It’s vital that MPOs have a finished notion of all the whats, whys, and hows of their assigned engine.
NFPA 1901: Classic for Motorized zeal Apparatus places an astounding number of duties on apparatus manufacturers to supply zeal departments with a huge number of technical info about the pumping apparatus a department purchases.
Both new and incumbent MPOs should seize, and hold the complete benefit of everything the manufacturer needs to provide to get the vast majority out of any technical option on their apparatus. This includes the owner’s manual, training videos, and online info and training resources.
2. Not pumping the right pressure
After a trustworthy arrival and suitable positioning of the apparatus, the MPO’s initially accurate performance benchmark is the aptitude to pump the right pressure to the hose line to give the suitable sail of water that the nozzle was constructed for.
Today’s nozzles are marvels of engineering in their own right. But the nozzle can’t compose up to its capacities without suitable water flow.
The attacking squad dragged that nozzle for a reason. If they desired a distinct flow, they could have dragged an extra accessible hose line and nozzle.
Modern zeal engines create it much easier for the MPO to identify the precisely needed sail pressure for any pre-connected hose line on their apparatus without ever remembering a single mathematical formula – given they’ve learned their pump.
3. Not balancing the pressure discharge manifold
The then performance benchmark is giving the right pressure to the then distribute line dragged without the crew on the first-hand line ever quick-witted anything has changed.
The regular error in this place is not preserving balanced discharge pressures by only opening discharge valves as far as a need to give the right pressure. The MPO can try not to this error by setting the discharge pressure reprieve valve (on older apparatus). Or by utilizing the computerized governors found on contemporary engines.
4. Not balancing the discharge and intake manifolds
Every fall of water that the fire engine pump operator offers to deploy outlines initially came into the pump over the pump’s intake manifold. Both intake and discharge manifolds have several holes with valves attached to them that the fire engine pump operator has need to temperance if they’re to successfully give functional zeal streams.
If the fire engine pump operator has 750 GPM coming into the intake manifold, later they should be qualified to give no less than 750 GPM from the discharge manifold.
An adept MPO doesn’t hold, retain secret the fact that the water furnish is giving 750 GPM and the attacking staff is only utilizing 250 GPM. It’s really beneficial for the incident commander to recognize that they quite have 500 GPM of accessible supply. Mainly if the zeal isn’t going out right away.
5. Not coping with the intake manifold
The MPO’s quadrant performance benchmark is quickly coping with the pump’s intake manifold. Today’s faster and hotter seared fires put a premium on the aptitude to attack zeal crews to sail the wet stuff on the red stuff to prohibit flashover.
Many departments are utilizing a transitional zeal attack approach as said by fire-behavior research coming from UL and NIST. Obtaining a thriving result when hiring a transitional zeal attack is predicated on receiving those initial hose lines suitably supplied.
Particularly in suburban or rural areas, the MPO needs to job immensely difficult to create an efficient water supply. In countless cases. The MPO has accessible water coming from some distinct directions concurrently – booster container water, deliver lines, and front/side suction intakes.
Successfully coping with the intake manifold will allow the fire engine pump operator to give the vital zeal sail a need to put the zeal out now. Not in sixty minutes afterward the fuels have burned down to whatever water was being flowed.
18 PUMP Manner TIPS
I asked my previous colleagues with Chesterfield County (Va.) Zeal and EMS to break in with their ideas to aid MPOs greater doing their job.
My respondents are all old hands who represented as firm officers furthermore MPO trainers and evaluators for our department. Some of them persevere in their job as added instructors for the Virginia Department of Zeal Programs teaching and assessing new MPOs.
Here are 18 tips from these seasoned fire service veterans.
1. Begin the tank-to-pump valve or intake valve so water goes into the pump.
2. Note the incoming static (hydrant) water pressure to decide the accessible water supply.
3. Complete daily apparatus maintenance and morning setup. Go more than that pumper completely; be certain everything is where and how you desire it.
4. Make certain the container is full, no drains are beginning and the release valve is working.
5. Practice making connections with something other than what you normally use — have a workaround for when something breaks. If the steamer cap won’t open, use two or three inches. Use a gated wye on the 2½-inch if you do not have a 1½-inch adapter.
6. Get the delivery line-associated and sizzling as quickly as possible.
<<<
For La2ZnNi2, DFT lattice parameters and positions (GGA-PBE) gives the theoretical powder XRD pattern in this record (Cu Kα X-rays).
No peak broadening, texture or thermal motion is included.

Top 10 peaks for 10° ≤ 2θ ≤ 90°, in order of rising 2θ:
25.85°, d 3.446, I = 41.9; 33.51°, d 2.674, I = 100.0; 35.60°, d 2.522, I = 39.8; 37.86°, d 2.376, I = 32.2; 38.66°, d 2.329, I = 29.3; 39.77°, d 2.267, I = 57.9; 41.18°, d 2.192, I = 35.9; 55.55°, d 1.654, I = 21.8; 57.75°, d 1.596, I = 17.7; 68.15°, d 1.376, I = 30.7

Structural model:
```
5
Lattice="-2.192 2.787 4.241 2.192 -2.787 4.241 2.192 2.787 -4.241" Properties=species:S:1:pos:R:3 pbc="T T T"
La 0.000 0.000 1.689
La 0.000 0.000 6.793
Zn 0.000 2.787 0.000
Ni 2.192 1.348 0.000
Ni 0.000 1.439 4.241
```

For LaZn2Ni9, DFT lattice parameters and positions (GGA-PBE) gives the theoretical powder XRD pattern in this record (Cu Kα X-rays).
No peak broadening, texture or thermal motion is included.

Top 10 peaks for 10° ≤ 2θ ≤ 90°, in order of rising 2θ:
34.84°, d 2.575, I = 20.3; 36.44°, d 2.466, I = 31.2; 39.77°, d 2.267, I = 100.0; 43.97°, d 2.059, I = 40.4; 44.37°, d 2.042, I = 38.8; 45.43°, d 1.997, I = 72.5; 45.95°, d 1.975, I = 49.8; 50.10°, d 1.821, I = 18.4; 69.42°, d 1.354, I = 16.3; 71.01°, d 1.327, I = 17.9

Structural model:
```
24
Lattice="8.143 0.000 0.000 0.000 8.143 0.000 0.000 0.000 4.775" Properties=species:S:1:pos:R:3 pbc="T T T"
La 0.000 0.000 0.000
La 4.072 4.072 0.000
Zn 0.949 3.123 0.000
Zn 3.123 7.195 0.000
Zn 5.020 0.949 0.000
Zn 7.195 5.020 0.000
Ni 0.000 4.072 2.387
Ni 0.536 1.733 2.387
Ni 1.449 5.520 1.165
Ni 1.449 5.520 3.610
Ni 1.733 7.607 2.387
Ni 2.339 3.535 2.387
Ni 2.623 1.449 1.165
Ni 2.623 1.449 3.610
Ni 3.535 5.805 2.387
Ni 4.072 0.000 2.387
Ni 4.608 2.339 2.387
Ni 5.520 6.695 1.165
Ni 5.520 6.695 3.610
Ni 5.805 4.608 2.387
Ni 6.410 0.536 2.387
Ni 6.695 2.623 1.165
Ni 6.695 2.623 3.610
Ni 7.607 6.410 2.387
```

For La2Zn5Ni5, DFT lattice parameters and positions (GGA-PBE) gives the theoretical powder XRD pattern in this record (Cu Kα X-rays).
No peak broadening, texture or thermal motion is included.

Top 10 peaks for 10° ≤ 2θ ≤ 90°, in order of rising 2θ:
29.40°, d 3.038, I = 66.8; 34.30°, d 2.615, I = 29.0; 39.64°, d 2.273, I = 41.2; 40.78°, d 2.212, I = 53.0; 40.97°, d 2.203, I = 100.0; 44.29°, d 2.045, I = 40.8; 60.93°, d 1.520, I = 22.5; 65.70°, d 1.421, I = 23.4; 72.28°, d 1.307, I = 20.2; 88.83°, d 1.102, I = 19.9

Structural model:
```
12
Lattice="4.090 0.000 0.000 0.000 5.261 0.000 0.000 0.000 9.039" Properties=species:S:1:pos:R:3 pbc="T T T"
La 0.000 0.000 0.000
La 0.000 2.631 4.520
Zn 2.045 0.000 4.520
Zn 2.045 1.335 2.209
Zn 2.045 1.335 6.831
Zn 2.045 3.926 2.209
Zn 2.045 3.926 6.831
Ni 0.000 0.000 3.012
Ni 0.000 0.000 6.027
Ni 0.000 2.631 1.425
Ni 0.000 2.631 7.614
Ni 2.045 2.631 0.000
```

For LaZnNi5, DFT lattice parameters and positions (GGA-PBE) gives the theoretical powder XRD pattern in this record (Cu Kα X-rays).
>>>
Here the piece continues =
7. Use a stacked tip to decrease a line.
8. Memorize to pump in manual mode with no pre-sets.
9. Stand at the pump panel blindfolded. Recognize where valve handles are so you have the ability to function the pump at night when the panel lights go out.
• Calculated crystals, as found in the file:
........
LiCo6O2F10: theoretical X-ray diffraction stick pattern (λ = 1.5418 Å (Cu Kα)), based on a crystal structure in Alexandria, relaxed with GGA+U.
Neutral-atom scattering factors, no anomalous dispersion.

Largest 12 diffraction maxima, in order of rising 2θ, 15° ≤ 2θ ≤ 90°:
d (Å)	2θ/deg	I_rel	hkl
5.104	17.37	186	0 1 0
4.747	18.69	186	1 0 -1
4.121	21.56	1000	1 -1 0
3.796	23.43	221	0 1 -2
3.249	27.45	574	1 1 0
3.150	28.33	284	1 -1 2
3.064	29.14	194	-1 1 2
2.851	31.38	227	1 0 -3
2.537	35.38	261	1 -1 3
2.470	36.37	194	-1 1 3
2.095	43.18	281	1 2 0
2.019	44.89	179	-2 1 3

Atomic structure:
```
data_LiCo6O2F10
_cell_length_a 5.2638
_cell_length_b 5.3081
_cell_length_c 9.6292
_cell_angle_alpha 98.02
_cell_angle_beta 95.47
_cell_angle_gamma 102.52
_symmetry_space_group_name_H-M 'P 1'
_symmetry_Int_Tables_number 1
loop_
_symmetry_equiv_pos_as_xyz
'x,y,z'
loop_
_atom_site_label
_atom_site_type_symbol
_atom_site_fract_x
_atom_site_fract_y
_atom_site_fract_z
Li1 Li 0.0000 0.0000 0.0000
Co1 Co 0.1651 0.9323 0.4872
Co2 Co 0.1944 0.6287 0.2192
Co3 Co 0.3870 0.8077 0.7840
Co4 Co 0.6566 0.3529 0.0074
Co5 Co 0.7123 0.3269 0.3487
Co6 Co 0.7130 0.3119 0.6752
O1 O 0.0029 0.6347 0.3756
O2 O 0.4076 0.0112 0.6369
F1 F 0.0299 0.5951 0.7287
F2 F 0.3470 0.0386 0.9610
F3 F 0.3894 0.0081 0.3204
F4 F 0.4918 0.4711 0.1848
F5 F 0.5458 0.5250 0.8413
F6 F 0.5581 0.4637 0.5170
F7 F 0.7986 0.1203 0.8562
F8 F 0.8891 0.2206 0.1561
F9 F 0.9075 0.1502 0.4959
F10 F 0.9674 0.6707 0.0551
```

* * * * *

[1]
Computed powder diffractogram
Compound: Tl2CrO4
Radiation: λ = 1.5418 Å (Cu Kα)
Structure: a structure optimized by DFT (GGA+U)

Atomic structure:
```
data_Tl2CrO4
_cell_length_a 13.027
_cell_length_b 5.921
_cell_length_c 15.014
_cell_angle_alpha 90.00
_cell_angle_beta 113.44
_cell_angle_gamma 90.00
_symmetry_space_group_name_H-M 'C 1 2/m 1'
_symmetry_Int_Tables_number 12
loop_
_symmetry_equiv_pos_as_xyz
'x,y,z'
'-x,-y,-z'
'-x,y,-z'
'x,-y,z'
'x+1/2,y+1/2,z'
'-x+1/2,-y+1/2,-z'
'-x+1/2,y+1/2,-z'
'x+1/2,-y+1/2,z'
loop_
_atom_site_label
_atom_site_fract_x
_atom_site_fract_y
_atom_site_fract_z
Tl1 0.005 0.000 0.132
Tl2 0.078 0.500 0.386
Tl3 0.121 0.000 0.631
Tl4 0.184 0.500 0.114
Cr1 0.141 0.500 0.859
Cr2 0.224 0.000 0.361
O1 0.061 0.500 0.923
O2 0.111 0.266 0.790
O3 0.137 0.500 0.586
O4 0.172 0.000 0.447
O5 0.178 0.232 0.292
O6 0.225 0.000 0.065
```

Peak list (10 most intense, 2θ from 15° to 90°, most intense first)
- 25.87 deg, I 100, hkl 0 0 4
- 27.56 deg, I 94, hkl 3 1 -3
- 29.81 deg, I 77, hkl 3 1 1
- 30.19 deg, I 76, hkl 0 2 0
- 40.17 deg, I 73, hkl 0 2 4
- 25.76 deg, I 67, hkl 3 1 -2
- 33.73 deg, I 37, hkl 3 1 2
- 18.96 deg, I 32, hkl 1 1 1
- 23.27 deg, I 29, hkl 1 1 -3
- 45.18 deg, I 24, hkl 3 1 -7

=====

[2]
Computed powder diffractogram
Compound: Li9Mn2Co5O16
Radiation: λ = 1.5418 Å (Cu Kα)
Structure: a structure optimized by DFT (GGA+U)

Atomic structure:
```
data_Li9Mn2Co5O16
_cell_length_a 5.065
_cell_length_b 5.904
_cell_length_c 10.394
_cell_angle_alpha 75.76
........
10. Know and practice what to accomplish if a line breaks.
11. Always guarantee the pump has departed into gear prior to leaving the apparatus cab.
12. Practice in-cab procedure.
13. Prime the pump when it has already been drained because of below-zero weather.
14. Refill the container formerly a water delivery has already been established.
15. Circulate water when the pump is in gear but no water is flowing to prohibit overheating the pump and damaging the pump packing.
16. Recognize and practice how to set up a rough copy from a static water source.
17. Practice spotting hydrants to design distance temperance for any intake valve on the engine.
18. Know how to accomplish friction-loss calculations.

Hi, I am John Smit a Captain in Fire Department City of Newyork with over years of experience in the field of Firefighting and HSE. My passion for fire safety started when I was a young boy and witnessed a neighbor’s house go up in flames along with precious lives. Since then, I had dedicated my life to ensuring the safety of buildings, properties, and individuals in case of a fire and medical emergencies.